Activity:
What is needed: transcribe only the last part of the notes further down, starting with the line that has "-0.686 1.0411".

File:
1.
This record from the OMol25 dataset describes a cluster of 11 separate species, H22O11 in total. The level of theory is wB97M-V/def2-TZVPD.

The geometry in XYZ format:
```
33
Properties=species:S:1:pos:R:3:mulliken_charge:R:1
O -22.205 -11.261 10.542 -0.6241
H -21.400 -11.778 10.571 0.3119
H -21.906 -10.353 10.491 0.3154
O -27.210 -6.522 9.780 -0.6362
H -26.574 -7.224 9.640 0.3197
H -27.573 -6.350 8.912 0.3165
O -19.825 -16.563 8.421 -0.6323
H -19.797 -17.372 7.911 0.3218
H -18.906 -16.335 8.561 0.3131
O -18.331 -5.111 9.060 -0.6353
H -17.526 -5.599 9.236 0.3143
H -19.025 -5.650 9.439 0.3201
O -21.135 -17.423 12.137 -0.6434
H -21.256 -17.202 11.213 0.3330
H -20.587 -16.719 12.482 0.3079
O -17.349 -12.235 12.057 -0.6346
H -16.875 -13.054 12.200 0.3171
H -17.152 -11.706 12.830 0.3187
O -20.556 -6.972 12.873 -0.6320
H -19.803 -6.975 13.463 0.3146
H -21.313 -6.879 13.451 0.3190
O -17.900 -10.842 7.078 -0.6283
H -17.877 -10.978 8.025 0.3173
H -17.187 -11.384 6.740 0.3124
O -26.566 -12.468 11.171 -0.6431
H -26.433 -13.108 11.871 0.3149
H -25.685 -12.157 10.961 0.3239
O -21.666 -8.101 6.986 -0.6425
H -20.758 -8.382 6.873 0.3189
H -21.714 -7.258 6.537 0.3222
O -24.611 -11.000 5.402 -0.6351
H -25.483 -10.608 5.350 0.3147
H -24.049 -10.294 5.722 0.3195
```

Its LUMO energy is -0.1 eV. The value obtained for the relative energy (zero: lowest compared OMol25 entry of this formula, charge and spin) is 62.24 kcal/mol. The value obtained for the HOMO-LUMO gap is 11.114 eV. The value obtained for the calculated total energy is -840.7809 a.u. The calculation puts the HOMO energy at -11.18 eV. As for the structure (SMILES): O.O.O.O.O.O.O.O.O.O.O.

2.
This record from the OMol25 dataset describes a cluster of 2 separate species, C18H32N2O10S in total. The level of theory is wB97M-V/def2-TZVPD.

The geometry in XYZ format:
```
63
Properties=species:S:1:pos:R:3:mulliken_charge:R:1
N -0.983 1.140 2.608 -0.6193
C -1.495 2.028 1.641 0.9205
C -1.706 3.421 2.308 -1.3562
C -3.108 3.808 2.826 -0.3618
C -3.904 4.819 2.032 0.2993
O -4.777 5.441 2.559 -0.5926
O -3.609 5.004 0.723 -0.3897
O -0.454 2.340 0.576 -0.5235
S -1.237 2.903 -0.686 1.0411
O -1.117 4.327 -0.709 -0.7011
O -0.827 2.251 -1.880 -0.6475
O -2.718 2.482 -0.241 -0.2346
C -2.559 1.421 0.762 1.3529
C -3.836 0.846 1.398 -1.3247
C -5.083 1.246 0.632 -0.8447
O -5.487 2.563 1.059 -0.1191
C -6.260 3.243 0.191 0.0499
O -6.155 3.227 -0.994 -0.4645
C -2.043 0.177 -0.093 -0.1809
O -2.812 -0.155 -0.992 -0.7215
O -0.959 -0.370 0.230 -0.7284
H -0.149 1.525 3.034 0.3661
H -0.710 0.282 2.128 0.3625
H -1.331 4.222 1.681 0.5470
H -1.070 3.409 3.193 0.4464
H -3.757 2.961 3.016 0.1721
H -2.970 4.299 3.789 0.4762
H -2.992 5.731 0.579 0.3362
H -3.760 -0.236 1.326 0.4464
H -3.908 1.084 2.457 0.5868
H -5.888 0.549 0.874 0.4427
H -4.903 1.187 -0.436 0.4934
H -7.028 3.845 0.689 0.4086
C 5.985 -3.768 -2.067 -1.2104
C 5.343 -4.136 -0.731 -0.4882
C 3.913 -4.665 -0.859 -0.8507
C 2.846 -3.770 -1.482 -0.8079
N 2.505 -2.491 -0.767 0.7855
C 3.489 -1.379 -1.052 -0.5273
C 3.040 -0.795 -2.374 -0.8252
C 1.518 -0.756 -2.221 -0.2789
C 1.181 -1.946 -1.322 -0.6843
C 2.360 -2.713 0.697 -1.1631
H 5.372 -3.080 -2.652 0.2466
H 6.952 -3.290 -1.909 0.3487
H 6.150 -4.660 -2.673 0.3880
H 5.383 -3.290 -0.042 0.2547
H 5.944 -4.916 -0.261 0.4627
H 3.571 -5.007 0.120 0.3454
H 3.940 -5.565 -1.479 0.4740
H 1.921 -4.343 -1.503 0.3715
H 3.088 -3.506 -2.510 0.5016
H 3.383 -0.648 -0.251 0.4813
H 4.503 -1.763 -1.059 0.2076
H 3.339 -1.438 -3.205 0.1803
H 3.470 0.188 -2.552 0.5445
H 1.002 -0.807 -3.176 0.4487
H 1.199 0.167 -1.737 0.0166
H 0.668 -2.743 -1.852 0.1794
H 0.564 -1.621 -0.482 0.4868
H 3.326 -2.978 1.119 0.3782
H 1.636 -3.508 0.859 0.4223
H 2.005 -1.790 1.145 0.3737
```

Its LUMO energy is -0.2 eV. The value obtained for the HOMO-LUMO gap is 7.856 eV. The value obtained for the calculated total energy is -1965.1253 a.u. The calculation puts the HOMO energy at -8.04 eV.

3.

Worked solution:
S -1.237 2.903 -0.686 1.0411
O -1.117 4.327 -0.709 -0.7011
O -0.827 2.251 -1.880 -0.6475
O -2.718 2.482 -0.241 -0.2346
C -2.559 1.421 0.762 1.3529
C -3.836 0.846 1.398 -1.3247
C -5.083 1.246 0.632 -0.8447
O -5.487 2.563 1.059 -0.1191
C -6.260 3.243 0.191 0.0499
O -6.155 3.227 -0.994 -0.4645
C -2.043 0.177 -0.093 -0.1809
O -2.812 -0.155 -0.992 -0.7215
O -0.959 -0.370 0.230 -0.7284
H -0.149 1.525 3.034 0.3661
H -0.710 0.282 2.128 0.3625
H -1.331 4.222 1.681 0.5470
H -1.070 3.409 3.193 0.4464
H -3.757 2.961 3.016 0.1721
H -2.970 4.299 3.789 0.4762
H -2.992 5.731 0.579 0.3362
H -3.760 -0.236 1.326 0.4464
H -3.908 1.084 2.457 0.5868
H -5.888 0.549 0.874 0.4427
H -4.903 1.187 -0.436 0.4934
H -7.028 3.845 0.689 0.4086
C 5.985 -3.768 -2.067 -1.2104
C 5.343 -4.136 -0.731 -0.4882
C 3.913 -4.665 -0.859 -0.8507
C 2.846 -3.770 -1.482 -0.8079
N 2.505 -2.491 -0.767 0.7855
C 3.489 -1.379 -1.052 -0.5273
C 3.040 -0.795 -2.374 -0.8252
C 1.518 -0.756 -2.221 -0.2789
C 1.181 -1.946 -1.322 -0.6843
C 2.360 -2.713 0.697 -1.1631
H 5.372 -3.080 -2.652 0.2466
H 6.952 -3.290 -1.909 0.3487
H 6.150 -4.660 -2.673 0.3880
H 5.383 -3.290 -0.042 0.2547
H 5.944 -4.916 -0.261 0.4627
H 3.571 -5.007 0.120 0.3454
H 3.940 -5.565 -1.479 0.4740
H 1.921 -4.343 -1.503 0.3715
H 3.088 -3.506 -2.510 0.5016
H 3.383 -0.648 -0.251 0.4813
H 4.503 -1.763 -1.059 0.2076
H 3.339 -1.438 -3.205 0.1803
H 3.470 0.188 -2.552 0.5445
H 1.002 -0.807 -3.176 0.4487
H 1.199 0.167 -1.737 0.0166
H 0.668 -2.743 -1.852 0.1794
H 0.564 -1.621 -0.482 0.4868
H 3.326 -2.978 1.119 0.3782
H 1.636 -3.508 0.859 0.4223
H 2.005 -1.790 1.145 0.3737
```

Its LUMO energy is -0.2 eV. The value obtained for the HOMO-LUMO gap is 7.856 eV. The value obtained for the calculated total energy is -1965.1253 a.u. The calculation puts the HOMO energy at -8.04 eV.

3.